lower case or UPPER CASE hostname in RAC?
These calculated crystals were left in the entry by mistake.
-- begin --
# 1
Density functional theory data (PBE) for a relaxed structure of K2NaLaCl6.

Results
M_tot (Bohr magnetons per cell): 0.000
Formation energy without anion corrections (meV/atom): -2064
E (eV per atom): -4.016

Lattice parameters (Å, degrees): 10.994 10.994 10.994 90.00 90.00 90.00
Space group Fm-3m (No. 225)
Unique sites:
K 0.250 0.250 0.250 x8
Na 0.000 0.000 0.000 x4
La 0.000 0.000 0.500 x4
Cl 0.000 0.000 0.249 x24



# 2
Density functional theory data (PBE) for a relaxed structure of Tm4HgTe3.

Results
M_tot (Bohr magnetons per cell): 0.000
Formation energy without anion corrections (meV/atom): -1017
E (eV per atom): -4.469

Lattice parameters (Å, degrees): 8.905 12.237 4.162 90.00 90.00 90.00
Space group Cmmm (No. 65)
Unique sites:
Tm 0.000 0.239 0.000 x4
Tm 0.235 0.000 0.500 x4
Hg 0.000 0.000 0.000 x2
Te 0.000 0.500 0.000 x2
Te 0.250 0.250 0.500 x4



# 3
Density functional theory data (PBE) for a relaxed structure of Ta2TlCd.

Results
M_tot (Bohr magnetons per cell): 0.000
Energy relative to the elements (eV/atom): 0.507
E (eV per atom): -6.240

Lattice parameters (Å, degrees): 3.338 5.015 9.775 90.00 90.00 90.00
Space group Imm2 (No. 44)
Unique sites:
Ta 0.000 0.000 0.000 x2
Ta 0.000 0.500 0.285 x2
Tl 0.000 0.500 0.763 x2
Cd 0.000 0.000 0.524 x2
-- stop --
RAC中各节点的hostname是设成大写(UPPER CASE)形式还是小写(lower case)形式好呢?
[The text is interrupted by crystal structures]
=====
! PBE with a Hubbard U VP2O6, optimized geometry; values from VASP
! VASP energy ... -67.02 eV/f.u.
! SG ... No. 15
! Magnetic moment ... 6.00 Bohr magnetons per cell
&SYSTEM
  ibrav = 0, nat = 18, ntyp = 3
/
ATOMIC_SPECIES
P 30.97 P.upf
O 16.00 O.upf
V 50.94 V.upf
ATOMIC_POSITIONS crystal
P 0.263 0.624 0.800
P 0.763 0.800 0.624
P 0.737 0.376 0.200
P 0.237 0.200 0.376
O 0.198 0.114 0.587
O 0.828 0.202 0.058
O 0.672 0.942 0.798
O 0.172 0.798 0.942
O 0.545 0.651 0.647
O 0.302 0.413 0.886
O 0.045 0.647 0.651
O 0.328 0.058 0.202
O 0.698 0.587 0.114
O 0.955 0.353 0.349
O 0.802 0.886 0.413
O 0.455 0.349 0.353
V 0.750 0.891 0.109
V 0.250 0.109 0.891
CELL_PARAMETERS angstrom
4.801 -0.162 1.561
1.534 6.577 0.658
-0.665 0.080 6.752

~~~~~

TbHoAl2: relaxed, PBE.
=====
Bug 5168043If node names supplied in VIPCA silent mode are uppercase, VIPCA causes the following error: Invalid node name "" entered in an input argument. Workaround Use VIPCA GUI mode. Oracle Versions confirmed as being affected - 10203 ( fixed in PROBLEM: -------- Env 3 node AIX 5L During installation of CRS, root.sh gives "Invalid node name" error if hostname is written in Capital letters in /etc/hosts. # root.sh WARNING: directory '/oracle' is not owned by root Checking to see if Oracle CRS stack is already configured clscfg: version 3 is 10G Release 2. Successfully accumulated necessary OCR keys. Using ports: CSS=49895 CRS=49896 EVMC=49898 and EVMR=49897. node : clscfg: Arguments check out successfully. Expecting the CRS daemons to be up within 600 seconds. CSS is active on these nodes. CSS is active on all nodes. Waiting for the Oracle CRSD and EVMD to start Oracle CRS stack installed and running under init(1M) Running vipca(silent) for configuring nodeapps DIAGNOSTIC ANALYSIS: -------------------- We can reproduce the error if we issue vipca like below. $ORA_CRS_HOME/bin/vipca -silent -nodelist {CAPITAL1},{CAPITAL2} \ -nodevips {CAPITAL1}/{CAPITALV1}/, \ {CAPITAL2}/{CAPITALV2}/ Invalid node name "{CAPITAL1}" entered in an input argument. Invalid node name "{CAPITAL1}" entered in an input argument. WORKAROUND: ----------- - do not write capital letters in /etc/hosts - use vipca(GUI) and configure VIP resource afterwards. RELATED BUGS: ------------- BUG#4632899 solaris port specific bug regarding capital letters. May not be related with vipca. REPRODUCIBILITY: ---------------- 100% in AIX 100% in Linux Bug 4632899 CSS does not start on Solaris if the hostname is in upper case. The following errors might be noticed when using CRS scripts: Failure at scls_scr_create with code 1 Category: 1234 Operation: scls_scr_create Location: mkdir Other: Unable to make user dir Dep: 2 Workaround Change the hostname to from uppercase to lower case. Versions confirmed as being affected - 10203 ( Issue fixed in PROBLEM STATEMENT: ------------------ The localconfig script fails to startup the CSS in single instance configuration if the hostname of the server contains capital letters. Errors encountered : === Failure at scls_scr_create with code 1 Internal Error Information: Category: 1234 Operation: scls_scr_create Location: mkdir Other: Unable to make user dir Dep: 2 === Bug 6674075: RAC: PRKR-1078 FROM SRVCTL MODIFY DATABASE WITH UPPER CASE DB NAME PROBLEM: -------- Two Node RAC running CRS,ASM and RDBMS. Customer has installed another home for RDBMS and trying to change the oracle home for the existing database. We ran the "srvctl modify" command from both existing and the new oracle homes (both are and got the same PRKR-1078 error. The entry for the CONFIG_VERSION looks okay in the OCR. DIAGNOSTIC ANALYSIS: -------------------- The entries for the database JUNK and two instances in the OCR looks okay and the DATABASE.DATABASES.JUNK.CONFIG_VERSION 10.2: from the OCRDUMP: ========================= [DATABASE.DATABASES.junk.CONFIG_VERSION] ORATEXT : ======================== from the srvm_trace of srvctl modify : ========================== [main] [12:55:59:677] [has.ClusterLockNative.Native] prsr_trace: Native: acquire: get mutext SRVM.DATABASE.DATABASES.junk [main] [12:55:59:678] [has.ClusterLockNative.Native] prsr_trace: Native: acquire: ret=0 [main] [12:55:59:679] [ClusterLock.acquire:127] Acquire returned nr=true status=true [main] [12:55:59:679] [OCR.keyExists:664] OCR.keyExists(DATABASE.DATABASES.JUNK.CONFIG_VERSION) [main] [12:55:59:679] [nativesystem.OCRNative.Native] keyExists: calling procr_open_key(DATABASE.DATABASES.JUNK.CONFIG_VERSION) [main] [12:55:59:694] [nativesystem.OCRNative.Native] keyExists: procr_open_key retval = 4 [main] [12:55:59:694] [OCRTree.setDBOracleHome:1572] DATABASE.DATABASES.junk incompatible version [main] [12:55:59:729] [OCRTree.setDBOracleHome:1587] Releasing exclusive lock SRVM.DATABASE.DATABASES.junk [main] [12:55:59:729] [has.ClusterLockNative.Native] prsr_trace: Native: unlock PRKR-1078 : Database JUNK cannot be administered using current version of srvctl. Instead run srvctl from /oracle/product/10.2.0/db0 ===================== Bug 7560908: CANN'T START SERVICES ,IF ITS INSTANCES REGISTERD WITH NODE NOME IN UPPER CASE PROBLEM: -------- - If we try to start service we got the following errors oracle@RZ-DB-44:~> srvctl start service -d db1 -s srv1 PRKP-1030 : Failed to start the service srv1. CRS-1007: Failed after successful dependency consideration CRS-0223: Resource 'ora.db.srv1.cs' has placement error. As per Note 372145.1 - Service start fails with CRS-1030 Crs-1007 Crs-0223 we delete the services and the database resource and its instances ,then we add the database again but at this time we add the database instance node name with lower case ,as it was in upper case , - after that we are able to start the database instance .......................答案很简单,lower case好于UPPER CASE!不仅仅是hostname,使用大写的rac资源(resource)在某些版本中也可能引发bug!当你在设计RAC系统是有必要把大小写这一问题考虑进去,事实上我相信大多数人和我一样喜欢使用小写字母加数字的形式,譬如我的rh1,rh2,rh3..........
posted on 2010-10-28 19:07 Oracle和MySQL 阅读(620) 评论(0) 编辑 收藏 举报